• Contents:
........
# 1
A relaxed BaGeN2 crystal, computed with GGA-PBE.

## Properties
- Total moment: 0.000 μB per formula unit
- Crystal system: orthorhombic

Cell lengths 5.5931, 11.2234, 16.6628 Å; angles 90.00, 90.00, 90.00 degrees
With the nearest neighbours (Å) after each atom.
Fractional coordinates of all 64 atoms:
N 0.3258 0.3316 0.8426  2 Ge 1.90
Ge 0.7449 0.9908 0.6880  4 N 1.90-1.91
N 0.8221 0.5871 0.5966  2 Ge 1.91-1.92
N 0.4359 0.5253 0.7187  2 Ge 1.90
N 0.6742 0.6684 0.1574  2 Ge 1.90
Ge 0.3060 0.2375 0.9372  4 N 1.89-1.92
N 0.1742 0.8316 0.8426  2 Ge 1.90
Ge 0.6940 0.7375 0.5628  4 N 1.89-1.92
Ge 0.2449 0.5092 0.3120  4 N 1.90-1.91
Ge 0.7551 0.0092 0.1880  4 N 1.90-1.91
Ba 0.1631 0.7673 0.1859  7 N 2.84-3.10
N 0.8221 0.9129 0.0966  2 Ge 1.91-1.92
Ba 0.3369 0.2327 0.6859  7 N 2.84-3.10
N 0.9359 0.9747 0.2813  2 Ge 1.90
N 0.5641 0.4747 0.2813  2 Ge 1.90
N 0.1742 0.6684 0.3426  2 Ge 1.90
N 0.3796 0.7917 0.0249  2 Ge 1.89-1.90
N 0.6779 0.4129 0.0966  2 Ge 1.91-1.92
N 0.8258 0.1684 0.1574  2 Ge 1.90
N 0.9359 0.5253 0.7813  2 Ge 1.90
Ge 0.2449 0.9908 0.8120  4 N 1.90-1.91
N 0.3221 0.9129 0.4034  2 Ge 1.91-1.92
Ge 0.7551 0.4908 0.6880  4 N 1.90-1.91
N 0.1204 0.2083 0.5249  2 Ge 1.89-1.90
Ge 0.3060 0.2625 0.4372  4 N 1.89-1.92
Ge 0.7449 0.5092 0.1880  4 N 1.90-1.91
N 0.6204 0.2083 0.9751  2 Ge 1.89-1.90
N 0.8796 0.7083 0.9751  2 Ge 1.89-1.90
Ge 0.2551 0.4908 0.8120  4 N 1.90-1.91
N 0.3796 0.7083 0.5249  2 Ge 1.89-1.90
N 0.3221 0.5871 0.9034  2 Ge 1.91-1.92
N 0.0641 0.4747 0.2187  2 Ge 1.90
Ba 0.3369 0.2673 0.1859  7 N 2.84-3.10
N 0.4359 0.9747 0.2187  2 Ge 1.90
N 0.0641 0.0253 0.7187  2 Ge 1.90
Ba 0.2450 0.9802 0.5661  4 N 2.74-2.85
N 0.3258 0.1684 0.3426  2 Ge 1.90
Ge 0.8060 0.2375 0.5628  4 N 1.89-1.92
Ba 0.7550 0.0198 0.4339  4 N 2.74-2.85
N 0.6742 0.8316 0.6574  2 Ge 1.90
N 0.8796 0.7917 0.4751  2 Ge 1.89-1.90
N 0.1779 0.4129 0.4034  2 Ge 1.91-1.92
N 0.6204 0.2917 0.4751  2 Ge 1.89-1.90
N 0.1779 0.0871 0.9034  2 Ge 1.91-1.92
Ba 0.6631 0.7327 0.8141  7 N 2.84-3.10
Ba 0.6631 0.7673 0.3141  7 N 2.84-3.10
Ba 0.7450 0.9802 0.9339  4 N 2.74-2.85
Ge 0.1940 0.7625 0.4372  4 N 1.89-1.92
Ba 0.8369 0.2673 0.3141  7 N 2.84-3.10
Ba 0.7550 0.4802 0.9339  4 N 2.74-2.85
Ge 0.6940 0.7625 0.0628  4 N 1.89-1.92
N 0.5641 0.0253 0.7813  2 Ge 1.90
Ba 0.8369 0.2327 0.8141  7 N 2.84-3.10
Ge 0.2551 0.0092 0.3120  4 N 1.90-1.91
Ba 0.2450 0.5198 0.0661  4 N 2.74-2.85
Ba 0.7450 0.5198 0.4339  4 N 2.74-2.85
N 0.1204 0.2917 0.0249  2 Ge 1.89-1.90
Ba 0.1631 0.7327 0.6859  7 N 2.84-3.10
Ba 0.2550 0.0198 0.0661  4 N 2.74-2.85
Ge 0.1940 0.7375 0.9372  4 N 1.89-1.92
Ge 0.8060 0.2625 0.0628  4 N 1.89-1.92
Ba 0.2550 0.4802 0.5661  4 N 2.74-2.85
N 0.6779 0.0871 0.5966  2 Ge 1.91-1.92
N 0.8258 0.3316 0.6574  2 Ge 1.90

---

# 2
A relaxed Ba2Ca3TlCu4O11 crystal, computed with GGA-PBE.

## Properties
- Total moment: 0.002 μB per formula unit
- Crystal system: orthorhombic

Cell lengths 3.8479, 3.8616, 19.4361 Å; angles 90.00, 90.00, 90.00 degrees
With the nearest neighbours (Å) after each atom.
Fractional coordinates of all 21 atoms:
O 0.5000 0.9999 0.0821  2 Cu 1.93
O 0.5000 0.9953 0.7544  2 Cu 1.93-1.94
O 0.5000 0.9953 0.2456  2 Cu 1.93-1.94
Ca 0.0000 0.0001 0.0000  8 O 2.50
O 0.0000 0.4962 0.2449  2 Cu 1.93
O 0.5000 0.9999 0.9179  2 Cu 1.93
Ca 0.0000 0.9977 0.1708  8 O 2.40-2.60
Ca 0.0000 0.9977 0.8292  8 O 2.40-2.60
Cu 0.5000 0.4998 0.0835  4 O 1.92-1.93
O 0.5000 0.4952 0.3909  1 Tl 2.14
O 0.0000 0.4962 0.7551  2 Cu 1.93
Ba 0.0000 0.9867 0.3609  9 O 2.72-2.99
O 0.0000 0.4999 0.0818  2 Cu 1.92
Cu 0.5000 0.4998 0.9165  4 O 1.92-1.93
Tl 0.5000 0.4157 0.5000  4 O 2.14-2.35
Cu 0.5000 0.4961 0.7461  4 O 1.93-1.94
O 0.0000 0.0651 0.5000  2 Tl 2.35
O 0.0000 0.4999 0.9182  2 Cu 1.92
O 0.5000 0.4952 0.6091  1 Tl 2.14
Ba 0.0000 0.9867 0.6391  9 O 2.72-2.99
Cu 0.5000 0.4961 0.2539  4 O 1.93-1.94

---

# 3
A relaxed TcC5IO5 crystal, computed with GGA-PBE.

## Properties
- Total moment: 0.000 μB per formula unit
- Crystal system: orthorhombic
........

• What to do:
What is needed: print all of the entries further above exactly.

• Worked solution:
# 1
A relaxed BaGeN2 crystal, computed with GGA-PBE.

## Properties
- Total moment: 0.000 μB per formula unit
- Crystal system: orthorhombic

Cell lengths 5.5931, 11.2234, 16.6628 Å; angles 90.00, 90.00, 90.00 degrees
With the nearest neighbours (Å) after each atom.
Fractional coordinates of all 64 atoms:
N 0.3258 0.3316 0.8426  2 Ge 1.90
Ge 0.7449 0.9908 0.6880  4 N 1.90-1.91
N 0.8221 0.5871 0.5966  2 Ge 1.91-1.92
N 0.4359 0.5253 0.7187  2 Ge 1.90
N 0.6742 0.6684 0.1574  2 Ge 1.90
Ge 0.3060 0.2375 0.9372  4 N 1.89-1.92
N 0.1742 0.8316 0.8426  2 Ge 1.90
Ge 0.6940 0.7375 0.5628  4 N 1.89-1.92
Ge 0.2449 0.5092 0.3120  4 N 1.90-1.91
Ge 0.7551 0.0092 0.1880  4 N 1.90-1.91
Ba 0.1631 0.7673 0.1859  7 N 2.84-3.10
N 0.8221 0.9129 0.0966  2 Ge 1.91-1.92
Ba 0.3369 0.2327 0.6859  7 N 2.84-3.10
N 0.9359 0.9747 0.2813  2 Ge 1.90
N 0.5641 0.4747 0.2813  2 Ge 1.90
N 0.1742 0.6684 0.3426  2 Ge 1.90
N 0.3796 0.7917 0.0249  2 Ge 1.89-1.90
N 0.6779 0.4129 0.0966  2 Ge 1.91-1.92
N 0.8258 0.1684 0.1574  2 Ge 1.90
N 0.9359 0.5253 0.7813  2 Ge 1.90
Ge 0.2449 0.9908 0.8120  4 N 1.90-1.91
N 0.3221 0.9129 0.4034  2 Ge 1.91-1.92
Ge 0.7551 0.4908 0.6880  4 N 1.90-1.91
N 0.1204 0.2083 0.5249  2 Ge 1.89-1.90
Ge 0.3060 0.2625 0.4372  4 N 1.89-1.92
Ge 0.7449 0.5092 0.1880  4 N 1.90-1.91
N 0.6204 0.2083 0.9751  2 Ge 1.89-1.90
N 0.8796 0.7083 0.9751  2 Ge 1.89-1.90
Ge 0.2551 0.4908 0.8120  4 N 1.90-1.91
N 0.3796 0.7083 0.5249  2 Ge 1.89-1.90
N 0.3221 0.5871 0.9034  2 Ge 1.91-1.92
N 0.0641 0.4747 0.2187  2 Ge 1.90
Ba 0.3369 0.2673 0.1859  7 N 2.84-3.10
N 0.4359 0.9747 0.2187  2 Ge 1.90
N 0.0641 0.0253 0.7187  2 Ge 1.90
Ba 0.2450 0.9802 0.5661  4 N 2.74-2.85
N 0.3258 0.1684 0.3426  2 Ge 1.90
Ge 0.8060 0.2375 0.5628  4 N 1.89-1.92
Ba 0.7550 0.0198 0.4339  4 N 2.74-2.85
N 0.6742 0.8316 0.6574  2 Ge 1.90
N 0.8796 0.7917 0.4751  2 Ge 1.89-1.90
N 0.1779 0.4129 0.4034  2 Ge 1.91-1.92
N 0.6204 0.2917 0.4751  2 Ge 1.89-1.90
N 0.1779 0.0871 0.9034  2 Ge 1.91-1.92
Ba 0.6631 0.7327 0.8141  7 N 2.84-3.10
Ba 0.6631 0.7673 0.3141  7 N 2.84-3.10
Ba 0.7450 0.9802 0.9339  4 N 2.74-2.85
Ge 0.1940 0.7625 0.4372  4 N 1.89-1.92
Ba 0.8369 0.2673 0.3141  7 N 2.84-3.10
Ba 0.7550 0.4802 0.9339  4 N 2.74-2.85
Ge 0.6940 0.7625 0.0628  4 N 1.89-1.92
N 0.5641 0.0253 0.7813  2 Ge 1.90
Ba 0.8369 0.2327 0.8141  7 N 2.84-3.10
Ge 0.2551 0.0092 0.3120  4 N 1.90-1.91
Ba 0.2450 0.5198 0.0661  4 N 2.74-2.85
Ba 0.7450 0.5198 0.4339  4 N 2.74-2.85
N 0.1204 0.2917 0.0249  2 Ge 1.89-1.90
Ba 0.1631 0.7327 0.6859  7 N 2.84-3.10
Ba 0.2550 0.0198 0.0661  4 N 2.74-2.85
Ge 0.1940 0.7375 0.9372  4 N 1.89-1.92
Ge 0.8060 0.2625 0.0628  4 N 1.89-1.92
Ba 0.2550 0.4802 0.5661  4 N 2.74-2.85
N 0.6779 0.0871 0.5966  2 Ge 1.91-1.92
N 0.8258 0.3316 0.6574  2 Ge 1.90

---

# 2
A relaxed Ba2Ca3TlCu4O11 crystal, computed with GGA-PBE.

## Properties
- Total moment: 0.002 μB per formula unit
- Crystal system: orthorhombic

Cell lengths 3.8479, 3.8616, 19.4361 Å; angles 90.00, 90.00, 90.00 degrees
With the nearest neighbours (Å) after each atom.
Fractional coordinates of all 21 atoms:
O 0.5000 0.9999 0.0821  2 Cu 1.93
O 0.5000 0.9953 0.7544  2 Cu 1.93-1.94
O 0.5000 0.9953 0.2456  2 Cu 1.93-1.94
Ca 0.0000 0.0001 0.0000  8 O 2.50
O 0.0000 0.4962 0.2449  2 Cu 1.93
O 0.5000 0.9999 0.9179  2 Cu 1.93
Ca 0.0000 0.9977 0.1708  8 O 2.40-2.60
Ca 0.0000 0.9977 0.8292  8 O 2.40-2.60
Cu 0.5000 0.4998 0.0835  4 O 1.92-1.93
O 0.5000 0.4952 0.3909  1 Tl 2.14
O 0.0000 0.4962 0.7551  2 Cu 1.93
Ba 0.0000 0.9867 0.3609  9 O 2.72-2.99
O 0.0000 0.4999 0.0818  2 Cu 1.92
Cu 0.5000 0.4998 0.9165  4 O 1.92-1.93
Tl 0.5000 0.4157 0.5000  4 O 2.14-2.35
Cu 0.5000 0.4961 0.7461  4 O 1.93-1.94
O 0.0000 0.0651 0.5000  2 Tl 2.35
O 0.0000 0.4999 0.9182  2 Cu 1.92
O 0.5000 0.4952 0.6091  1 Tl 2.14
Ba 0.0000 0.9867 0.6391  9 O 2.72-2.99
Cu 0.5000 0.4961 0.2539  4 O 1.93-1.94

---

# 3
A relaxed TcC5IO5 crystal, computed with GGA-PBE.

## Properties
- Total moment: 0.000 μB per formula unit
- Crystal system: orthorhombic